When I saw this book, I did what I always tell others not to do. I judged it based on its cover.

The cover had some nice nature-themed artwork, but the title, “You Me Everything,” sounded like a lame romance novel involving two people who fall madly in love for no apparent reason other than it’s fun to read about. I almost put it down, but I read the summary and realized it had a lot more complexity.
After tearing through it in two days, I can attest that it is an amazing book with a bad title. Catherine Isaac artfully tells the story of a single mom, Jess, and her 10-year-old son, William, as they begin to reconnect with William’s birth father, Adam.
When Jess had William at 22, Adam wasn’t there. He stumbled into the room after William was born, lipstick on his neck, his clothes rumpled. Jess, furious, began to distance herself from her boyfriend of three years. Eventually, she told him to leave, and she chose to raise William herself.
The page is interrupted by molecular data:
'''
No. 1
The following is a DFT calculation (ωB97M-V/def2-TZVPD) of a molecular structure, C34H33N4O2STbTe at a distorted geometry.

Structure (XYZ):
```
76
Properties=species:S:1:pos:R:3:forces:R:3
Tb -0.3393 0.0842 -0.2516 0.023 -1.079 0.518
C 3.5189 0.8413 -1.8396 -0.702 1.060 2.322
C 2.9618 -0.0430 -2.9070 -0.781 0.532 0.488
C 3.8068 -0.7915 -3.6941 1.228 -0.640 0.304
C 3.2964 -1.7228 -4.5744 -1.263 0.067 0.325
C 1.9004 -1.7677 -4.7507 1.774 -1.183 -0.746
C 1.0414 -0.9587 -4.0596 -1.521 1.149 0.138
C -0.4282 -0.7474 -4.4091 0.237 -0.122 -1.756
C 1.5462 -0.1343 -3.0525 1.524 0.627 0.037
N 0.7669 0.6718 -2.1785 -0.328 0.932 -0.431
C 0.6404 2.0131 -2.5665 -0.272 -1.099 0.950
O 0.8721 2.4225 -3.6802 0.345 0.456 -0.697
C 0.1545 2.9386 -1.4532 0.374 -1.075 -0.506
C 0.2426 4.2621 -1.5789 -0.102 1.278 0.448
C -0.0584 5.0800 -0.4486 -0.096 -0.366 0.857
C -0.5763 4.5767 0.6797 -0.474 -1.353 0.304
C -0.9397 3.1110 0.6779 -0.255 0.278 -0.342
N -0.2370 2.3409 -0.3153 -0.806 0.035 0.269
C -0.9501 2.3313 2.0065 0.874 -0.395 -1.397
O -1.2713 2.8494 3.0430 -0.596 1.081 1.360
N -0.6002 1.0281 1.8573 -0.011 -0.395 0.179
C -0.7088 0.2709 3.0682 1.741 0.085 -0.725
C -1.9115 -0.2389 3.4231 -1.459 -0.481 1.109
C -3.1942 0.0574 2.7011 1.056 -1.304 -1.092
C -2.0135 -1.0201 4.5853 -0.347 -0.055 -0.190
C -0.9376 -1.2990 5.3687 2.026 1.200 -0.578
C 0.3569 -0.7593 4.9911 -3.088 -1.198 -0.004
C 0.4641 -0.0303 3.8309 -0.164 0.165 -0.043
C 1.8034 0.5107 3.4484 -0.374 0.311 -2.795
H 3.4655 1.9415 -1.9904 -0.171 -0.600 -0.539
H 4.5579 0.6667 -1.5354 -0.142 -0.381 -0.396
H 2.8890 0.7534 -0.8753 0.920 -0.135 -1.332
H 4.8971 -0.7428 -3.5011 -0.728 0.060 -0.221
H 3.9014 -2.4790 -5.0488 0.230 0.172 -0.238
H 1.6108 -2.5388 -5.4582 -0.714 0.308 -0.041
H -0.8347 -1.4239 -5.2247 0.715 0.678 0.890
H -0.6062 0.3155 -4.7171 0.351 -0.833 0.132
H -1.0283 -0.8859 -3.5522 -0.749 -0.271 1.082
H 0.6331 4.7541 -2.4209 0.353 0.104 -1.194
H 0.1568 6.1175 -0.4709 0.086 0.927 -0.254
H -1.0295 5.1222 1.4975 0.556 0.317 0.083
H -3.9978 -0.4607 3.1828 -0.618 -0.078 0.319
H -3.1339 -0.3489 1.6749 -0.017 0.129 0.204
H -3.3844 1.0899 2.5926 -0.258 1.275 0.055
H -2.9913 -1.3910 4.8637 -0.085 -0.038 0.059
H -1.0597 -1.8215 6.2929 0.065 -0.413 0.370
H 1.1636 -1.0446 5.6116 1.060 0.125 0.370
H 2.3906 0.6784 4.2913 1.000 0.438 1.502
H 1.6667 1.4511 2.8664 0.203 -0.461 0.580
H 2.4214 -0.1376 2.7690 -0.791 0.225 0.530
C -3.6454 -1.5177 -2.4186 -0.225 0.234 -1.525
Te -3.3174 0.5383 -1.8925 0.165 -0.092 -0.338
C -4.8919 0.5831 -0.4699 -0.323 -0.965 0.679
H -4.6170 -1.6780 -2.9139 0.274 0.288 0.303
H -3.5995 -2.0710 -1.5208 0.114 -0.740 0.923
H -2.8777 -1.8800 -3.1302 -0.268 0.365 0.564
H -5.9169 0.5422 -0.9064 0.947 -0.152 0.162
H -4.7805 1.5014 0.0940 0.095 0.172 0.006
H -4.6780 -0.2701 0.2309 -0.597 0.788 -0.723
C -0.7828 -2.5049 -0.3646 0.355 -0.242 0.877
C 0.4842 -2.5725 0.3667 -1.463 0.753 -1.364
C 0.5363 -2.8524 1.7405 -0.603 -0.281 -0.642
C 1.6958 -2.9120 2.4081 1.507 0.180 0.355
'''
So much for the molecular data:
Meanwhile, Jess’ mom’s health is declining. Her mom’s moods are changing wildly, and her coordination is off. Eventually, she is diagnosed with the genetic disorder, Huntington’s disease, which is deadly and has no cure. By 53, she is dying with her heartbroken husband at her side. Her final wish is that Jess will let her son try to reconnect with his father.
Next to the entry, the page also holds data records:
-- begin --
Entry 1:
Formula: C17H23F5NO2P2Rh
Source: the OMol25 dataset
Level of theory: ωB97M-V/def2-TZVPD

Computed properties:
Energy above the lowest of the compared OMol25 structures with the same formula, charge and spin = 17.1 kcal per mole
Lowest unoccupied orbital energy (spin up / spin down) = -6.397 / -10.884 eV
HOMO-LUMO gap (spin up / spin down) = 7.096 / 4.336 eV
Strongest force on any atom = 5.0 eV/A

Structure (ORCA input):
```
! RIJCOSX wB97M-V def2-TZVPD def2/J DEFGRID3
* xyz 2 5
Rh -0.31101 0.36791 0.35380
P 1.13480 -0.08644 1.82667
C 2.31980 -1.23285 0.90382
C 1.69904 -1.78231 -0.32996
N 0.70025 -1.06791 -0.88805
C 0.24242 -1.31820 -2.13522
C 0.71641 -2.40670 -2.82001
C 1.64749 -3.25577 -2.26793
C 2.24402 -2.87168 -1.05413
C -0.75727 -0.36379 -2.69821
P -0.65291 1.30040 -1.87950
H 3.03181 -3.45756 -0.54005
H 0.27970 -2.59383 -3.78691
H 2.05059 -4.11492 -2.80244
H -0.56929 -0.16491 -3.75816
H -1.78312 -0.68465 -2.51359
H 3.12466 -0.54052 0.57445
H 2.92243 -1.95120 1.47826
H 3.39178 1.22580 -0.43418
O 4.11419 0.52701 -0.71004
H 4.78009 0.57877 -0.06047
H 1.00803 1.94211 -0.62780
O 1.97655 2.27208 -0.33645
H 2.42701 3.07311 -0.55189
C 0.52551 2.27494 -2.93708
H 0.26960 2.04015 -3.99732
H 0.36729 3.34352 -2.69995
H 1.56386 1.96777 -2.67683
C -2.28005 2.12543 -1.89351
H -2.11221 3.15254 -1.51663
H -2.60516 2.10521 -2.95602
H -2.93689 1.53746 -1.22316
C 0.46597 -1.09604 3.17001
H 1.24442 -1.50105 3.81063
H -0.15527 -0.37719 3.69228
H -0.14110 -1.87046 2.71153
C 2.13233 1.25750 2.52637
H 1.42196 1.76256 3.19752
H 3.00562 0.91769 3.09609
H 2.40209 1.94218 1.69871
F -2.07573 2.14918 2.25103
C -2.68947 0.97714 2.00407
C -2.11319 0.07170 1.13119
C -2.77101 -1.12033 0.91940
F -2.27551 -2.06502 0.09051
C -3.96969 -1.41062 1.57493
F -4.58034 -2.58492 1.37043
C -4.53294 -0.50106 2.44727
F -5.64311 -0.78102 3.10527
C -3.87104 0.69570 2.65700
F -4.38342 1.59305 3.50427
*
```

Atom-resolved charges from Mulliken, all expressed in e: -1.242, 1.024, -0.746, 0.506, 0.899, 0.452, -0.805, -0.686, -0.855, -1.175, 0.996, 0.447, 0.508, 0.437, 0.669, 0.457, -0.219, 0.675, 0.460, -0.694, 0.317, 0.183, -0.559, 0.231, -1.355, 0.469, 0.408, 0.452, -1.080, 0.365, 0.440, 0.305, -1.221, 0.464, 0.374, 0.302, -1.213, 0.448, 0.431, 0.243, -0.253, 1.051, -0.972, 0.727, -0.267, 0.290, -0.196, 0.460, -0.212, 0.464, -0.206

***

Entry 2:
Formula: C17H23F9NOPSn
Source: the OMol25 dataset
Level of theory: ωB97M-V/def2-TZVPD

Computed properties:
Energy above the lowest of the compared OMol25 structures with the same formula, charge and spin = 59.3 kcal per mole
Lowest unoccupied orbital energy = -8.908 eV
HOMO-LUMO gap = 4.340 eV
Strongest force on any atom = 2.5 eV/A

Structure (ORCA input):
```
! RIJCOSX wB97M-V def2-TZVPD def2/J DEFGRID3
* xyz 2 1
C -2.09257 -0.10376 -3.89433
C -2.03674 -1.17022 -3.00075
C -1.73916 -0.95472 -1.64023
C -1.60868 0.34561 -1.17896
C -1.46576 1.38011 -2.10931
C -1.78356 1.17693 -3.45540
C -1.53429 -2.16056 -0.76398
C -0.31013 -2.97488 -1.26385
-- stop --
Here the entry continues:
In the last 10 years, Adam has built up a sprawling hotel and multi-cottage venue in France, so Jess and William go to visit. In his 30s, he’s dating someone 15 years younger than him — still as carefree and unaware of the feelings of others as he was when Jess sent him away. Nonetheless, William loves him. At 10, he is obsessed with his father’s athleticism and the authority he has at the hotel.
At first, Adam does not seem to understand how to be a father. One day, he tells William he will take him rafting and when he doesn’t show up, Jess finds him in a cottage on top of his girlfriend. Jess realizes that he may never change.
Over time, Adam begins to realize some of William’s positive qualities. He is intelligent, determined and infatuated with his father. Adam begins to consider that he became this amazing while Jess raised him.
Jess, meanwhile, is exploring a relationship with another guest at the cottage, Charlie, while grappling with the deteriorating condition of her mother. She considers heading home to check in on her mom, but her father reassures her that she should stay.
In addition to her mother’s failing health, it quickly becomes clear that Jess’s discomfort with being at the cottages is also related to her feelings toward Adam. As she explores a relationship with Charlie, Adam, who is becoming very close with William, is constantly on her mind.
The readers get a surprise when Jess reveals that she carries the gene for Huntington’s disease and may have passed it down to her son. As she falls in love with Adam again, she is hesitant to tell him the truth — that falling in love with her would be a ticking time bomb. Her life expectancy is only 10 to 30 years after she starts to show symptoms.
This book combines themes of sickness, love, motherhood, absent fathers and forgiveness all in one. Everything changes when Adam tells Jess the truth about where he was the night of William’s birth.
- - -
{"formula": "C2H3BF2O", "method": "ωB97M-V with the def2-TZVPD basis set", "e_tot_ev": -10279.323, "e_homo_ev": -11.5, "smiles": "B[C@H](F)C(=O)F", "de_lowest_kcal_mol": 76.0, "largest_force_ev_per_a": 4.10, "total_charge": 0, "elements": ["F", "H", "O", "B", "F", "H", "C", "C", "H"], "xyz": [[0.020838, -1.827405, 0.718115], [-1.680257, 0.279710, 0.509153], [0.175881, -1.933028, -1.348674], [-0.812811, 1.091264, 0.327753], [1.311902, 0.927570, -0.948828], [-1.237003, 2.241384, 0.289912], [0.656967, 0.258037, 0.006589], [0.365282, -1.212859, -0.431963], [1.199202, 0.175327, 0.877941]], "atomic_forces_ev_per_a": [[0.1600, 0.2498, 2.0125], [0.0902, 0.2769, 0.2403], [1.1450, 1.8056, -1.5870], [-0.1822, -1.7481, -0.4178], [1.2935, 0.7218, -1.1634], [1.2641, -0.6204, -0.0390], [-3.6054, 0.3611, -1.9216], [-1.6784, -0.8990, 0.8168], [1.5132, -0.1477, 2.0593]], "lowdin_charge": [0.065, 0.030, 0.185, 0.226, 0.012, 0.037, -0.246, -0.414, 0.104]}



{"formula": "C2H3BO3", "method": "ωB97M-V with the def2-TZVPD basis set", "e_tot_ev": -8939.032, "e_homo_ev": -10.9, "de_lowest_kcal_mol": 123.9, "largest_force_ev_per_a": 6.08, "total_charge": 0, "elements": ["B", "H", "H", "H", "O", "C", "C", "O", "O"], "xyz": [[0.086620, -0.760803, -0.714252], [0.495152, -2.262673, -1.701998], [-0.255927, -2.172901, 0.616287], [-0.427200, 2.918856, 2.341043], [-0.196849, -1.294515, 0.474298], [-0.180277, 2.600805, 1.375461], [0.015791, 1.832775, 0.465788], [0.195094, -1.445585, -1.901505], [0.267595, 0.584042, -0.955122]], "atomic_forces_ev_per_a": [[-0.2986, 0.7458, -0.6968], [1.3832, -4.4510, 0.4260], [-0.3593, -4.3412, 0.4329], [-0.0823, 0.8180, 0.5848], [0.3035, 4.2661, 0.7087], [0.2551, -1.7724, -1.4251], [0.4513, -3.6579, -3.3328], [-1.1089, 3.7158, -0.5433], [-0.5439, 4.6768, 3.8457]], "lowdin_charge": [-0.881, 0.042, 0.055, 0.015, 0.265, 0.036, 0.106, 0.225, 0.136]}



{"formula": "C2H3Br2Cl3Si", "method": "ωB97M-V with the def2-TZVPD basis set", "e_tot_ev": -187653.707, "e_homo_ev": [-8.4, -8.7], "de_lowest_kcal_mol": 60.8, "largest_force_ev_per_a": 4.71, "total_charge": 0, "elements": ["Cl", "Si", "Br", "H", "C", "Cl", "H", "Cl", "Br", "C", "H"], "xyz": [[-0.834032, 3.080516, -0.700008], [-0.055916, 2.001383, 0.715565], [1.574683, -1.734734, 1.242098], [0.066174, -2.383205, -1.428987], [-0.011690, -1.000525, 0.291677], [-1.228158, 2.106382, 2.305691], [0.951315, -0.890812, -1.784499], [1.798752, 2.687374, 0.961849], [-1.555910, -1.723393, 1.154092], [0.082877, -1.323374, -1.117409], [-0.788095, -0.819613, -1.640068]], "atomic_forces_ev_per_a": [[-1.0189, 0.9611, -1.8015], [0.6711, -3.1906, 0.2144], [-0.4547, 0.6551, -0.2821], [-0.1600, 0.1849, 0.7119], [1.3314, 0.9103, 1.8129], [-0.4742, -0.0076, 1.0190], [-1.0925, -0.5396, 2.0659], [0.8326, 0.0401, 0.3734], [-0.1262, 0.3737, -0.1889], [-0.0616, 1.3616, -4.5082], [0.5531, -0.7490, 0.5831]], "lowdin_charge": [0.347, -0.769, 0.526, 0.076, -1.238, 0.318, 0.115, 0.307, 0.603, -0.367, 0.082]}
- - -
### Back to the piece
This may seem like a play-by-play of everything that happened in this book, but Isaac weaves in so many subplots and themes that you will need to read the book yourself to understand the full beauty of it.